Prepare for your first baby and enter motherhood with confidence and clarity.


One day you’re pregnant and two days later (or sooner) you’re sent home with this tiny little newborn and no personal nurse to answer to your questions or calm your nerves when something comes up. Yeah, soak that in for a sec. Motherhood is full of ups and downs, and the truth is you can both follow your motherly intuition through it and wisely prepare for what’s to come. Welcome to the Baby Prep Toolkit.

The Baby Prep Toolkit

is a comprehensive guide to preparing for your baby’s arrival. No more guesswork - I’ve done the research for you. The exact resources, systems, and checklists I used to prepare for both of my babies, I’m giving to you in the Baby Prep Toolkit.

Does this sound like you?

— Preparing for a baby sounds stressful.

— You’re an over-planner. Or you’re just not a planner.

— You’ve been searching Google or Pinterest for baby prep checklists, learning how to pump, hospital bag packing lists, breastfeeding information, etc.

— You feel like you don’t have the time to get it all done.

…If so, you’re in the right place, Mama!

According to a study led by leading baby brand Munchkin,

On average it takes most new moms 4 months and 23 days to adjust to motherhood, a new baby and a new lifestyle.

It’s not uncommon for new moms to experience:


Sleep deprivation from feeding your newborn every 2-3 hours, recovering from childbirth, hormonal changes, and the emotional stress that comes with the new responsibilities of motherhood can cause extreme fatigue.

Postpartum anxiety or depression

Sometimes the stress and overwhelm from worrying about your new baby’s health, safety, and care can manifest itself into constant anxiety or a serious form of depression (that can be managed with the right support).

Physical health issues

Postpartum preeclampsia, postpartum hemorrhage, infections, and blood clots are a few of the risks that come with childbirth. While not all women will experience complications from birth, it’s important to be aware.

Breastfeeding complications

Breastfeeding is a learned practice for first time moms and common challenges such as latch issues, engorgement, cracked or sore nipples, clogged ducts, and mastitis can occur throughout your feeding journey.

A lot of postpartum happens to you, and while you can’t control everything you’re about to experience, you can put systems and preparations in place to counterbalance the uncontrollable.

That’s where the Baby Prep Toolkit comes in.

Preparing for a baby during your pregnancy means preparing for postpartum too, removing unnecessary stress and overwhelm for when your baby is here so you can focus on the big things and enjoy more of those sweet moments with your newborn.

I’ll help you get prepared and organized for motherhood with the Baby Prep Toolkit.

At the end of this program, you will…

Feel organized and thorough in your baby prep with all of the to-do’s you’ll need to check off prior, during, and after your baby’s arrival. Organized in an easily digestible timeline format to guide you step by step through pregnancy into the first weeks of bringing your baby home.

Be set up for breastfeeding success by knowing what to expect of breastfeeding at birth, tips for a successful journey, challenges you may encounter along the way and what do about them, how to ensure your newborn is gaining healthy weight, and how to safely store and prepare breast milk for your baby.

Be ready to pump by learning how use your breast pump, how to care for your pump parts, when to start pumping, and how to establish a pumping routine whether you are looking to build a freezer stash, go back to work, or exclusively pump.

Be prepared for the hospital with everything you’ll need for labor and delivery, postpartum, breastfeeding, and your baby.

Smoothly transition into bringing a baby home with guidance and checklists for prepping your nursing station, postpartum care kit, and household essentials to stock up on before your baby arrives.

The following is a DFT calculation (PBE-GGA) of Dy4Tm3Pt4 after structural relaxation.

Computed properties:
Symmetry: Immm
Theoretical density: 12.00 g/cm3
E_form: -0.93 eV per atom
DOS at the Fermi energy: 7.4 states/eV/f.u.

Cell: 9.443 9.443 9.443 Å, 157.02 124.92 60.46°
Element x y z (fractional)
Dy 0.022 0.835 0.187
Dy 0.352 0.165 0.187
Dy 0.648 0.835 0.813
Dy 0.978 0.165 0.813
Tm 0.000 0.500 0.500
Tm 0.402 0.402 0.000
Tm 0.598 0.598 0.000
Pt 0.258 0.758 0.500
Pt 0.294 0.000 0.294
Pt 0.706 0.000 0.706
Pt 0.742 0.242 0.500
The crystal structures stop here:

Confidently take on outings with your baby with everything you need for your diaper bag from newborn to toddler stages.

Additionally, you'll receive the stress-free breast pump ordering guide ($19 value) for free. Take the stress out of ordering a breast pump with a clear, step-by-step approach to understanding your insurance coverage, choosing the right breast pump, and maximizing your benefits.

I’ve been where you are (twice).

Welcoming a new baby into your world can feel…like a lot. I, too, felt a little lost when it came to preparing for my first baby, which is why I’ve created the Baby Prep Toolkit to help YOU feel confident as a first time mom. I’ll guide you through the next several months of pregnancy and bringing home baby with the exact resources, systems, and checklists I used to prepare for both of my babies - requiring less of your time, energy, and without the added stress.

The Baby Prep Toolkit


A pregnancy through bringing home baby planning strategy done for you to remove the research overwhelm and ease you into motherhood.

Baby prep checklist for each trimester, delivery, and bringing home baby

Breastfeeding 101: know what to expect, tips for success, common challenges and what to do about them

Pumping 101: learn how to use your breast pump, care for your pump parts, and how to establish a pump routine

Safely store and prepare breast milk for your baby

Understand newborn health and weight gain, track feedings and diapers

Prep your nursing station

Prepare for postpartum care

Pack for the hospital

Stock up household essentials before baby arrives

Pack your diaper bag

Order your breast pump with the stress-free breast pump ordering guide ($19 value) included for free.





“The information in the BPT is very practical and easy to digest compared to most out there.”

Before BPT, I was overwhelmed with the amount of unorganized information on "what to do" and "what not to do" in almost every topic imaginable. The entire process is hard especially as a first time mom. BPT was organized and very thorough so that it’s not overwhelming. I really appreciated the pictures, charts, and labeling throughout the Toolkit, especially when it came to breast pumps and related information, because I am a visual learner and it made it very easy to reference back to. I was able to read a section a day to easily retain and understand all the new information. I love the toolkit aspect of it because it was less intimating and easier to start that a large book or online course.

Why choose the Baby Prep Toolkit?

  1. You will save HOURS from searching the internet and creating your own checklists.

  2. You get to work at your own pace.

  3. No time or effort is required to get started; the program is in your hands as soon as your hit sign up.

  4. The program is yours forever so you can reuse baby after baby.

  5. You’ll learn the most important information to get you ready for a baby and make the postpartum period less overwhelming.

  6. You’ll end the program feeling confident to bring home a new baby and ready to take on your new role as mom.


If you’re thinking…

I’ve never done this before, how am I supposed to know what I don’t know??

I’m spending so much time googling and researching!

How will I get all of this done before the baby gets here?

I need an experienced mom to ask all my questions to…

There’s so much to learn as a first time mom.

…then BPT is right for you!

The Baby Prep Toolkit

Get It Now

baby prepping

The planning tools to prepare you for motherhood and bringing home baby.

Complete baby prep checklist

Breastfeeding 101

Pumping 101

Newborn health and weight gain / tracking feedings and diapers

Safely storing and preparing breast milk

Organize your nursing station

Prep for postpartum care

Pack for the hospital

Stock up household essentials

Pack your diaper bag

+ Order your breast pump with the stress-free breast pump ordering guide, included for free.
